In re Abilify (Aripiprazole) Prods. Liab. Litig.
No. 3:16-md-2734 (N.D. Fla. Oct. 5, 2018)
In this multidistrict product liability case, the court denied spoliation sanctions where the defendant deleted emails a decade before the litigation began.
Between two parts of the article: molecular data:
- - -
Run a
A gas-phase ion, C4H8N3 (charge +1), computed with ωB97M-V/def2-TZVPD.

Cartesian coordinates (Å):
C1 -0.025 1.386 2.077
N1 0.170 1.394 0.687
C2 0.758 1.773 -0.404
C3 -0.205 0.656 -0.610
C4 0.189 -0.731 -0.785
N2 -0.593 -1.546 -1.252
N3 -0.443 -2.770 -1.641
H1 0.879 1.060 2.602
H2 -0.137 2.481 2.512
H3 -0.914 0.680 2.408
H4 1.336 2.677 -0.627
H5 -1.273 0.788 -0.969
H6 1.265 -1.060 -0.688
H7 -1.257 -3.286 -2.019
H8 0.249 -3.502 -1.290

Its multiplicity is 1. As for the SMILES: C[N+]1=C[C@H]1/C=N/N. The calculation puts the HOMO energy at -12.93 eV. Its net charge is +1. For the HOMO-LUMO gap, the calculation gives 7.895 eV.

Run b
A gas-phase ion, C4H8N3 (charge +1), computed with ωB97M-V/def2-TZVPD.

Cartesian coordinates (Å):
C1 1.270 1.268 0.432
N1 0.314 0.547 0.013
C2 -0.574 0.798 -1.061
C3 -1.218 -0.646 -1.276
N2 -0.964 -1.285 0.002
C4 0.054 -0.739 0.564
N3 0.690 -1.093 1.749
H1 1.469 2.313 -0.060
H2 1.893 0.950 1.325
H3 -0.419 1.487 -1.847
H4 -1.477 1.216 -0.627
H5 -2.283 -0.585 -1.418
H6 -0.768 -1.325 -2.009
H7 0.358 -1.887 2.279
H8 1.654 -1.019 1.934

Its multiplicity is 1. As for the SMILES: C=[N+]1CCN=C1N. The calculation puts the HOMO energy at -14.09 eV. Its net charge is +1. For the HOMO-LUMO gap, the calculation gives 8.665 eV.

We find run b to be the most stable, with the next structure 285.5 kJ/mol higher.

Run a
A gas-phase ion, C4H8N3 (charge +1), computed with ωB97M-V/def2-TZVPD.

Cartesian coordinates (Å):
N1 0.320 -1.935 0.066
C1 -0.119 -0.651 -0.145
C2 0.076 0.242 -1.449
C3 0.377 1.464 -0.505
C4 0.018 0.600 0.614
N2 -0.709 0.249 1.772
N3 -1.275 -0.055 0.415
H1 0.041 -2.704 -0.502
H2 1.331 -1.903 0.115
H3 -0.881 0.136 -2.016
H4 1.013 -0.001 -1.986
H5 1.435 1.712 -0.559
H6 -0.101 2.389 -0.690
H7 -0.425 -0.499 2.465
H8 -1.100 0.957 2.405

Its multiplicity is 1. As for the SMILES: N[C@]12CC[C@]13[NH2+]N23. The calculation puts the HOMO energy at -14.33 eV. Its net charge is +1. For the HOMO-LUMO gap, the calculation gives 10.752 eV.

Run b
A gas-phase ion, C4H8N3 (charge +1), computed with ωB97M-V/def2-TZVPD.

Cartesian coordinates (Å):
C1 1.022 0.468 0.631
C2 1.633 0.823 -0.616
C3 -0.056 -0.575 0.359
C4 -1.355 -0.293 0.058
N1 -2.627 -0.427 -0.112
N2 0.393 -1.928 0.227
N3 -2.056 0.864 -0.295
H1 1.765 -0.081 1.211
H2 0.733 1.316 1.162
H3 1.606 1.863 -0.939
H4 2.092 -0.043 -1.069
H5 -0.186 -2.627 -0.164
H6 1.375 -2.232 0.386
H7 -2.429 1.543 0.442
H8 -1.911 1.330 -1.282

Its multiplicity is 1. The calculation puts the HOMO energy (spin up / spin down) at -12.64 / -12.83 eV. Its net charge is +1. For the HOMO-LUMO gap (spin up / spin down), the calculation gives 6.966 / 8.705 eV.

We find run a to be the most stable, with the next structure 62.3 kJ/mol higher.

Run a
C6H7NO2 in the gas phase, computed with ωB97M-V/def2-TZVPD.

Cartesian coordinates (Å):
C1 0.499 1.165 -0.219
C2 -0.703 -1.583 0.156
C3 -1.676 -0.759 -0.097
C4 1.135 -0.040 -0.029
C5 -0.938 1.368 -0.215
C6 2.662 -0.037 0.035
N1 -1.636 2.340 -0.151
- - -
Here the article continues:
The plaintiffs initiated this lawsuit in 2016. They alleged that they suffered side effects from the antipsychotic drug Abilify, produced by the defendant, pharmaceutical company Otsuka America Pharmaceutical, Inc. (“OAPI”).
During discovery, OAPI advised the plaintiffs that it could not produce requested emails from three custodians from 2002 to 2006. Prior to 2007, OAPI explained, it “maintained a 60-day retention policy for emails,” causing it to automatically delete those emails.
The plaintiffs argued that OAPI’s loss of emails constituted spoliation. They moved for sanctions including an adverse inference jury instruction under Federal Rule of Civil Procedure 37(e) or the court’s inherent authority.
The court noted that sanctions for spoliation are only available if a party lost electronically stored information (ESI) it should have preserved. Thus, its decision “begins and ends with resolution of whether OAPI had a duty to preserve” the lost emails.
Here the piece breaks off for calculated molecules.
____________
No. 1
Formula: C18H19F9LuO6
Source: the Open Molecules 2025 dataset
Level of theory: wB97M-V/def2-TZVPD

Calculated values
Energy above the lowest of the compared OMol25 structures with the same formula, charge and spin ... 83.7 kJ/mol
Net charge ... +1
Kohn-Sham gap ... 9.84 eV
Energy ... -89336.2410 eV

The geometry in XYZ format:
```
53
Properties=species:S:1:pos:R:3:nbo_charge:R:1
Lu 0.7434 0.0029 -0.2009 1.925
F 2.5859 4.1407 0.6211 -0.286
F -0.8225 1.7687 0.8650 -0.318
F 2.7822 2.0607 3.4828 -0.293
F 0.6602 2.0348 3.8312 -0.310
F 0.0262 3.5050 -0.0253 -0.303
F -0.6524 3.6056 2.0069 -0.273
F 2.0593 2.4453 -0.6179 -0.323
F 1.6503 3.8864 3.3485 -0.302
F 3.6286 2.2671 0.8501 -0.273
O 1.3514 0.9217 1.4190 -0.879
O 2.0326 -1.6002 -0.6883 -0.712
O 2.2283 0.2596 -1.7891 -0.716
O 0.5417 -1.2940 -3.3492 -0.489
O -0.2431 0.9725 -1.8478 -0.743
O 0.6673 2.2504 -3.4285 -0.603
C 0.2110 -2.2518 1.6887 -0.219
C -3.1676 0.3078 2.3264 -0.605
C 0.2859 1.1085 -2.9587 0.886
C -0.0217 2.8512 1.1396 0.970
C -0.5684 -2.8088 -0.5082 -0.214
C -3.3259 0.6966 -0.1768 -0.609
C -1.6732 -1.0224 0.7407 -0.050
C 1.0567 -4.3690 0.6302 -0.643
C 1.3685 2.2528 1.5940 0.025
C 0.2431 -3.1172 0.5888 0.059
C -0.7333 -1.2229 1.7758 -0.262
C 2.1755 -0.9958 -1.7733 0.729
C 1.8933 -1.6920 -3.0933 -0.151
C 0.4005 -0.0336 -3.9563 -0.174
C 1.6304 2.5811 3.0960 0.978
C 2.4579 2.8281 0.6492 0.971
C -1.4891 -1.7627 -0.4487 -0.209
C -3.0033 -0.3156 0.9425 -0.256
H -2.2165 -1.6539 -1.2490 0.239
H -0.5729 -3.4640 -1.3726 0.237
H -0.8324 -0.6966 2.7182 0.261
H 0.8378 -2.4680 2.5457 0.247
H -4.1272 0.3349 -0.8142 0.224
H 1.8989 -2.7744 -2.9828 0.226
H -0.5428 -0.0680 -4.5152 0.248
H -4.1734 0.7078 2.4140 0.231
H 2.5643 -1.3750 -3.8977 0.212
H 1.0824 -4.8551 -0.3400 0.224
H -2.4586 0.8949 -0.8071 0.208
H 1.2113 0.1796 -4.6624 0.226
H -3.7406 -1.1274 0.8781 0.227
H 0.6098 -5.0548 1.3496 0.244
H 0.5583 2.9978 -2.8103 0.530
H -2.4655 1.1185 2.4926 0.209
H 2.0724 -4.1560 0.9527 0.240
H -3.0367 -0.4391 3.1059 0.214
H -3.6497 1.6372 0.2586 0.226
```


No. 2
Formula: C4H3EuO5
Source: the Open Molecules 2025 dataset
Level of theory: wB97M-V/def2-TZVPD

Calculated values
Energy above the lowest of the compared OMol25 structures with the same formula, charge and spin ... 39.7 kJ/mol
Spin multiplicity ... 9
Kohn-Sham gap (spin up / spin down) ... 5.42 / 9.67 eV
Energy ... -33759.8321 eV

The geometry in XYZ format:
```
13
Properties=species:S:1:pos:R:3:nbo_charge:R:1
Eu 1.4518 2.8904 0.2578 0.932
O -1.5675 1.9940 0.9391 -0.673
O -0.2617 0.9904 -0.5249 -0.751
O 3.3448 0.1149 1.0935 -0.505
O -1.9353 -0.1498 0.3052 -0.490
O 1.2463 -0.9779 -0.0709 -0.706
C 2.3995 0.5225 0.4760 0.362
C -1.3473 1.0314 0.2247 0.981
C -1.1361 -1.2585 -0.1070 -0.137
C 0.1442 -0.7333 -0.7303 0.416
H -0.8881 -1.8467 0.7848 0.215
H -1.7035 -1.8674 -0.8213 0.200
H 0.2529 -0.7099 -1.8269 0.154
```


No. 3
Formula: C4H5I
Source: the Open Molecules 2025 dataset
Level of theory: wB97M-V/def2-TZVPD

Calculated values
____________
Generally speaking, the duty to preserve evidence for discovery “arises once litigation is pending or reasonably foreseeable.” This requires “a credible probability” that litigation will ensue, not “mere awareness of potential liability” in a matter.
Counsel for the plaintiffs “did not begin advertising for plaintiffs…until 2013” and did not “threaten OAPI with litigation until” 2014. Thus, OAPI could not have “reasonably anticipated” this litigation until 2013 at the earliest. Here, though, the plaintiffs argued that OAPI had a “duty to preserve…triggered by statute, contract, and other litigation.”
- - -
1.
ORCA calculation (ωB97M-V/def2-TZVPD) on a molecular structure, C29H23BF5IrN10O2 in a non-equilibrium geometry.

Each line ends with the Löwdin charge.
Geometry (Å):
Ir (-0.16906, -0.85718, -1.03614)  1.696
C (-3.75108, -0.30006, -2.85365)  0.027
C (-2.36830, -0.01872, -2.71426)  -0.058
N (-1.76291, -1.11510, -2.16030)  -0.159
N (-2.80370, -2.08257, -1.79425)  0.092
C (-3.94149, -1.60999, -2.30194)  -0.023
B (-2.62507, -3.05111, -0.48984)  -0.661
N (-2.36791, -1.99565, 0.72209)  0.039
C (-2.56070, -2.14440, 2.07447)  -0.022
C (-2.03181, -1.03876, 2.72824)  -0.017
C (-1.50334, -0.14936, 1.69321)  -0.064
N (-1.60736, -0.79942, 0.48225)  -0.133
N (-1.33127, -3.78455, -0.65307)  0.030
C (-0.94784, -5.11158, -0.57710)  -0.019
C (0.43334, -5.21840, -0.88178)  0.038
C (0.90915, -3.90108, -0.87931)  -0.121
N (-0.12255, -2.99449, -0.67640)  0.006
N (-3.80153, -3.94037, -0.27476)  -0.011
C (-5.04810, -3.30590, -0.13584)  -0.095
C (-5.93734, -4.26910, 0.35792)  -0.050
C (-5.21283, -5.51392, 0.38986)  -0.095
N (-3.91429, -5.26048, 0.03819)  0.058
H (-4.41840, 0.28179, -3.42675)  0.096
H (-1.72950, 0.77543, -3.07252)  0.114
H (-4.88012, -2.17883, -2.11666)  0.134
H (-3.06682, -2.94055, 2.48170)  0.111
H (-2.09054, -0.81323, 3.79017)  0.105
H (-1.07963, 0.87192, 1.80660)  0.123
H (-1.69435, -5.87241, -0.44240)  0.101
H (1.17055, -5.99303, -0.96389)  0.121
H (1.94155, -3.68265, -0.86306)  0.094
H (-5.20250, -2.24379, -0.23293)  0.109
H (-6.95841, -4.03492, 0.59018)  0.090
H (-5.55813, -6.57904, 0.61755)  0.132
O (2.38279, -1.33251, 0.78236)  0.078
C (2.19425, -0.12922, 0.60863)  -0.491
N (2.97046, 0.93285, 0.99256)  0.203
C (2.28892, 2.26069, 0.80618)  -0.193
C (1.01086, 1.70523, -0.10873)  -0.398
O (0.16703, 2.41366, -0.62638)  0.115
N (1.07802, 0.37385, -0.10109)  -0.026
C (3.18346, 3.23532, 0.01421)  -0.158
C (4.35718, 3.53870, 0.70654)  -0.046
C (5.38423, 4.24106, 0.09077)  -0.072
C (5.19211, 4.64946, -1.21653)  -0.087
C (3.97466, 4.48329, -1.86596)  -0.078
C (2.97067, 3.75942, -1.26923)  -0.036
C (1.84819, 3.06680, 2.03765)  -0.177
C (0.99012, 4.17725, 1.97251)  -0.005
C (0.35460, 4.68204, 3.11838)  -0.088
C (0.50593, 4.08086, 4.31607)  -0.093
C (1.40568, 2.99125, 4.44710)  -0.046
C (2.04671, 2.52865, 3.28741)  -0.064
H (3.70117, 0.96453, 1.69266)  0.155
H (4.44137, 3.36993, 1.80250)  0.131
H (6.30922, 4.56376, 0.64219)  0.130
H (6.02565, 5.23667, -1.69887)  0.127
H (3.79209, 4.98267, -2.81903)  0.116
H (2.04869, 3.62929, -1.87142)  0.120
H (0.69402, 4.55186, 0.99750)  0.119
H (-0.19398, 5.65329, 3.04941)  0.130
H (-0.06165, 4.43922, 5.20581)  0.122
H (1.59097, 2.36153, 5.32831)  0.112
H (2.73667, 1.72552, 3.51232)  0.106
F (2.29601, -1.70574, -2.55418)  0.071
C (1.13832, -1.01999, -2.68487)  -0.444
F (0.33203, -1.75246, -3.62184)  -0.011
C (1.62317, 0.25275, -3.37349)  -0.509
F (2.28504, -0.04762, -4.54269)  0.149
F (0.52919, 1.00036, -3.71021)  0.107
F (2.43843, 1.00732, -2.57214)  0.138

Results
Max |F| = 4.6 eV Å⁻¹
2S+1 = 6
- - -
-- End of the records of molecules --
The court rejected the plaintiffs’ argument that “industry-wide events” involving pharmaceutical side effects put OAPI on notice of this litigation. “Such an overly broad view of the duty of preservation” would obligate “every drug manufacturer…to preserve all of its documents” forever.
The plaintiffs also claimed that “ongoing litigation with the Department of Justice” regarding off-label promotion created a duty to preserve. The court again disagreed. Rather, any “duty to preserve evidence” in that case “ran only to the DOJ and not to” these plaintiffs.
Next, the plaintiffs claimed that “FDA regulations required OAPI to preserve” the emails it had lost. But the record did not establish that these three custodians’ emails “fell within the scope of the FDA preservation obligations” cited. Further, “failure to comply with a regulatory obligation” would relate only “to a duty OAPI owed to the FDA,” not to these plaintiffs.
Finally, the plaintiffs argued that a “Pharmacovigilance Agreement” created a duty for OAPI to preserve its emails. However, that agreement “did not require OAPI to retain emails” generally, much less from these specific custodians. More importantly, the plaintiffs, “as non-parties to the Pharmacovigilance Agreement cannot enforce” its terms. The court concluded that “the agreement in this case has nothing whatsoever to do with the plaintiffs.” Therefore, they “cannot use the agreement to artificially create a duty owed to” them.
Despite the plaintiffs’ creative arguments, the court held that there was no reason for OAPI to anticipate this litigation in 2002. As such, OAPI was not under a duty to preserve the emails, and their loss did not constitute spoliation. The court therefore denied all sanctions.
Takeaways on Balancing Preservation and Information Governance
Don’t get overwhelmed by your duty to preserve evidence in anticipation of litigation. Remember, as the court stated here, that the duty to preserve evidence is targeted to specific litigation and the involved litigants — it is not a generalized duty that attaches permanently. Record-retention policies are necessary for cost-effective information governance, and compliance with them does not equate to spoliation.